_Data_
┌──
AgH4WS4N, optimized geometry, DFT GGA-PBE; space-group type = I-4, No. 82; energy = -5.31 eV per atom; piezoelectric modulus e_max = 0.10 C/m2; formation enthalpy at 0 K = -635.7 kJ/mol of formula units; energy with MP2020 corrections = -5.530 eV/atom; calculated volume = 197 Å³ per cell
1.0
-4.0762 4.0762 2.9600
4.0762 -4.0762 2.9600
4.0762 4.0762 -2.9600
Ag H W S N
1 4 1 4 1
direct
0.0000 0.0000 0.0000 Ag
0.0472 0.6667 0.4132 H
0.2535 0.6340 0.5868 H
0.3333 0.7465 0.3805 H
0.3660 0.9528 0.6195 H
0.5000 0.5000 0.0000 W
0.0993 0.4153 0.9232 S
0.4921 0.1761 0.0768 S
0.5847 0.5079 0.6840 S
0.8239 0.9007 0.3160 S
0.2500 0.7500 0.5000 N



Sn3Te, optimized geometry, DFT GGA-PBE; energy above the lowest structure with this stoichiometry = 0.000 eV per atom; space-group type = I4/mmm, No. 139; energy = -3.73 eV per atom; formation enthalpy at 0 K = -16.0 kJ/mol of formula units; energy with MP2020 corrections = -3.834 eV/atom; calculated volume = 117 Å³ per cell
1.0
-2.3009 2.3009 5.5165
2.3009 -2.3009 5.5165
2.3009 2.3009 -5.5165
Sn Te
3 1
direct
0.0000 0.0000 0.0000 Sn
0.2500 0.7500 0.5000 Sn
0.7500 0.2500 0.5000 Sn
0.5000 0.5000 0.0000 Te



FeSbRh2, optimized geometry, DFT GGA-PBE; space-group type = I4/mmm, No. 139; energy = -7.05 eV per atom; formation enthalpy at 0 K = -85.0 kJ/mol of formula units; calculated volume = 61 Å³ per cell
1.0
-2.0329 2.0329 3.7030
2.0329 -2.0329 3.7030
2.0329 2.0329 -3.7030
Fe Sb Rh
1 1 2
direct
0.0000 0.0000 0.0000 Fe
0.5000 0.5000 0.0000 Sb
0.2500 0.7500 0.5000 Rh
0.7500 0.2500 0.5000 Rh



CaMg14Ga, optimized geometry, DFT GGA-PBE; energy above the lowest structure with this stoichiometry = 0.015 eV per atom; space-group type = P-6m2, No. 187; energy = -1.72 eV per atom; formation enthalpy at 0 K = -14.6 kJ/mol of formula units; calculated volume = 374 Å³ per cell
1.0
6.4212 0.0000 0.0000
-3.2106 5.5609 0.0000
0.0000 0.0000 10.4765
Ca Mg Ga
1 14 1
direct
0.0000 0.0000 0.0000 Ca
0.0061 0.5030 0.0000 Mg
0.1667 0.3334 0.2571 Mg
0.1667 0.3334 0.7429 Mg
0.1667 0.8333 0.2571 Mg
0.1667 0.8333 0.7429 Mg
0.4970 0.5030 0.0000 Mg
0.4970 0.9939 0.0000 Mg
0.5012 0.0024 0.5000 Mg
0.5012 0.4988 0.5000 Mg
0.6667 0.3333 0.2461 Mg
0.6667 0.3333 0.7539 Mg
0.6666 0.8333 0.2571 Mg
0.6666 0.8333 0.7429 Mg
0.9976 0.4988 0.5000 Mg
0.0000 0.0000 0.5000 Ga



LaTl3, optimized geometry, DFT GGA-PBE; space-group type = Pm-3m, No. 221; energy = -3.37 eV per atom; formation enthalpy at 0 K = -140.8 kJ/mol of formula units; calculated volume = 118 Å³ per cell
1.0
4.9077 0.0000 0.0000
0.0000 4.9077 0.0000
0.0000 0.0000 4.9077
La Tl
1 3
direct
0.0000 0.0000 0.0000 La
0.0000 0.5000 0.5000 Tl
0.5000 0.0000 0.5000 Tl
0.5000 0.5000 0.0000 Tl



Th2Fe5Co5, optimized geometry, DFT GGA-PBE; space-group type = Pmm2, No. 25; energy = -7.83 eV per atom; formation enthalpy at 0 K = -121.8 kJ/mol of formula units; calculated volume = 173 Å³ per cell
1.0
3.9838 0.0000 0.0000
0.0000 8.6600 0.0000
0.0000 0.0000 5.0283
Th Fe Co
2 5 5
direct
0.0000 0.0000 0.0000 Th
0.0000 0.5000 0.4960 Th
0.5000 0.0000 0.4969 Fe
0.5000 0.2531 0.2461 Fe
0.5000 0.2545 0.7481 Fe
0.5000 0.7455 0.7481 Fe
0.5000 0.7469 0.2461 Fe
0.0000 0.1640 0.5098 Co
0.0000 0.3279 0.0066 Co
0.0000 0.6721 0.0066 Co
0.0000 0.8360 0.5098 Co
0.5000 0.5000 0.9891 Co



NaZrGeP3O12, optimized geometry, DFT GGA-PBE; space-group type = P3, No. 143; energy = -7.35 eV per atom; formation enthalpy at 0 K = -4862.7 kJ/mol of formula units; energy with MP2020 corrections = -7.806 eV/atom; calculated volume = 1450 Å³ per cell
1.0
8.6329 0.0000 0.0000
-4.3164 7.4763 0.0000
0.0000 0.0000 22.4607
Na Zr Ge P O
6 6 6 18 72
direct
0.0000 0.0000 0.0000 Na
0.0000 0.0000 0.4930 Na
0.3333 0.6667 0.1588 Na
0.3333 0.6667 0.6606 Na
0.6667 0.3333 0.3256 Na
0.6667 0.3333 0.8319 Na
0.0000 0.0000 0.6403 Zr
0.0000 0.0000 0.8555 Zr
0.3333 0.6667 0.3025 Zr
0.3333 0.6667 0.8135 Zr
0.6667 0.3333 0.4721 Zr
0.6667 0.3333 0.6793 Zr
0.0000 0.0000 0.1410 Ge
0.0000 0.0000 0.3468 Ge
0.3333 0.6667 0.0187 Ge
└──

_Request_
Please write out every line further above that contains the word "mmm".

_Result_
Sn3Te, optimized geometry, DFT GGA-PBE; energy above the lowest structure with this stoichiometry = 0.000 eV per atom; space-group type = I4/mmm, No. 139; energy = -3.73 eV per atom; formation enthalpy at 0 K = -16.0 kJ/mol of formula units; energy with MP2020 corrections = -3.834 eV/atom; calculated volume = 117 Å³ per cell
FeSbRh2, optimized geometry, DFT GGA-PBE; space-group type = I4/mmm, No. 139; energy = -7.05 eV per atom; formation enthalpy at 0 K = -85.0 kJ/mol of formula units; calculated volume = 61 Å³ per cell